Meet the Founder of IMPaX World
Upon completing his education in electronic engineering, Greg Im obtained a coveted position in one of the largest technology companies in the world. He moved to the U.S., where he nearly completed his pre-med education when his mother became severely ill. Greg dropped everything to fly home to Korea and decided to bring his parents back to the U.S. to care for his mother’s declining health. He searched diligently for nutritional answers to support his mother’s return to health. Now, 30 years later, both his mother and father are enjoying their retirement years.
The page is interrupted by materials data >
~~~
A relaxed ZnBiIO2 crystal, computed with GGA-PBE.

a = 4.312 Å, b = 4.312 Å, c = 5.103 Å
α = 90.00°, β = 90.00°, γ = 90.00°
Sites, in units of the cell vectors:
Zn: 0.000 0.000 0.000
Bi: 0.500 0.500 0.500
I: 0.000 0.000 0.500
O: 0.000 0.500 0.000
O: 0.500 0.000 0.000

Output
uncorrected energy	-16.2	eV/cell
raw formation energy	7.8	kJ/mol of atoms



A relaxed RbH2F crystal, computed with GGA-PBE.

a = 11.691 Å, b = 11.691 Å, c = 11.691 Å
α = 162.23°, β = 162.23°, γ = 25.23°
Sites, in units of the cell vectors:
Rb: 0.375 0.625 0.750
Rb: 0.625 0.375 0.250
H: 0.000 0.000 0.000
H: 0.000 0.000 0.500
H: 0.000 0.500 0.000
H: 0.500 0.000 0.500
F: 0.125 0.875 0.250
F: 0.875 0.125 0.750

Output
energy above the lowest structure with this stoichiometry	0.950	eV/atom
uncorrected energy	-22.1	eV/cell



A relaxed CeMgRh3 crystal, computed with GGA-PBE.

a = 3.969 Å, b = 3.969 Å, c = 6.246 Å
α = 94.83°, β = 94.83°, γ = 90.58°
Sites, in units of the cell vectors:
Ce: 0.000 0.000 0.000
Mg: 0.568 0.568 0.390
Rh: 0.062 0.062 0.378
Rh: 0.115 0.589 0.704
Rh: 0.589 0.115 0.704

Output
formation energy from the elements	-0.45	eV per atom
uncorrected energy	-31.8	eV/cell



A relaxed MnMoCl2 crystal, computed with GGA-PBE.

a = 2.991 Å, b = 2.991 Å, c = 8.454 Å
α = 90.00°, β = 90.00°, γ = 90.00°
Sites, in units of the cell vectors:
Mn: 0.000 0.000 0.000
Mo: 0.500 0.500 0.218
Cl: 0.000 0.000 0.403
Cl: 0.500 0.500 0.822

Output
energy above the lowest structure with this stoichiometry	0.165	eV/atom
uncorrected energy	-24.2	eV/cell
raw formation energy	-13.3	kJ/mol of atoms



A relaxed LiHoTh2 crystal, computed with GGA-PBE.

a = 3.480 Å, b = 3.480 Å, c = 9.563 Å
α = 90.00°, β = 90.00°, γ = 90.00°
Sites, in units of the cell vectors:
Li: 0.000 0.000 0.000
Ho: 0.000 0.000 0.500
Th: 0.500 0.500 0.232
Th: 0.500 0.500 0.768

Output
formation energy from the elements	0.16	eV per atom
energy above the lowest structure with this stoichiometry	0.016	eV/atom
uncorrected energy	-20.7	eV/cell



A relaxed GdTlCuAu crystal, computed with GGA-PBE.

a = 4.933 Å, b = 4.933 Å, c = 4.933 Å
α = 60.00°, β = 60.00°, γ = 60.00°
Sites, in units of the cell vectors:
Gd: 0.000 0.000 0.000
Tl: 0.500 0.500 0.500
Cu: 0.250 0.250 0.250
Au: 0.750 0.750 0.750

Output
formation energy from the elements	-0.34	eV per atom
uncorrected energy	-25.2	eV/cell



Q: Which value of uncorrected energy does entry 4 give?
A: -24.2 eV/cell



Q: Which of these has the lowest uncorrected energy?
A: CeMgRh3



Q: What is the uncorrected energy in the second record?
A: -22.1 eV/cell


[1]
Compound: CoPS2N
Source: Alexandria
Functional: GGA-PBE
Structure: optimized geometry

```
CoPS2N
1.0
4.100 0.000 0.000
0.000 3.165 0.000
-0.721 0.000 6.607
Co P S N
1 1 2 1
Direct
0.000 0.000 0.000 Co
0.443 0.500 0.292 P
0.658 0.500 0.882 S
0.819 0.000 0.319 S
0.331 0.500 0.038 N
```

Results
* ΔE_f (raw): 0.1 eV per formula unit
* SG: No. 6
* E above lowest polymorph: 81 meV/atom
* V: 17.1 A^3/atom



[2]
Compound: K2Cu3RhF12
~~~
Shortly after his health quest for his mother (early 1990), Greg’s daughter was diagnosed with an auto-immune disorder. This led to years of exhaustive research and meetings with over 200 physicians, scientists, and nutritional experts on three continents—at last, breakthrough! The resulting proprietary formula combined the qualities of superfoods, adaptogens, antioxidants, phytonutrients, micronutrients, and enzymes to create EnerPrime ® . Greg began mixing the powder in his daughter’s applesauce to provide nutrition at the cellular level, and the miracle of vibrant health began to unfold. Something wonderful was created, and IMPaX WORLD was born, launching one of the country’s first (and most comprehensive) green drinks—EnerPrime ® . Its reputation for supporting the immune system soon became legendary amongst consumers. The solution to his family health crisis led to the life-changing nutritional supplement now in demand on the world stage.
For nearly thirty years, IMPaX has become known for an entire line of superior nutritional products. Greg took great care in selecting quality, well-researched ingredients to ensure his and your family’s health. His active, vibrant lifestyle led to a situation where he contracted Lyme disease resulting in a severe health crisis, and Greg’s research began anew. Eventually, he honed his focus on the body’s most essential nutrient—water. Because of his knowledge of chemicals, biological contaminants, drugs, and other harmful things found in our drinking water, he already had a reverse osmosis system in his home. However, during his health crisis, he was no longer content for his drinking water merely to be well- filtered. Once again, Greg began performing diligent research to discover more.
Our bodies are over 70% water, so Greg knew that water was the foundational element needed both to restore and maintain optimal health. His engineering background and experience in high-level medical technology drove him to seek out a resource that went beyond water filtration. He wanted more than just clean, safe, pure water; he wanted a water system that put minerals back into filtered water and was also scientifically advanced to heal the body. Greg began his pursuit for a manufacturer with an award-winning reputation known for cutting-edge water research, advanced engineering, and highly innovative technology. It is rare to find all these components in one place, but he did at last find what he was after. Greg got his choice of manufacturers who had won worldwide gold medals for their innovation—Ion Thrive was born! IMPaX World now offers Ion Thrive Hydrogen and Alkaline Water Filtration Systems to improve the very foundation of health—clean, clear, nutritious, scientifically advanced, great-tasting water. Now you can hydrate your body and brain and improve your health with alkaline and hydrogen water.
Through the course of success in the nutritional health arena, it was brought to Greg’s attention that an orphanage in Tanzania with over 70 children suffering from AIDS had lost its medical support. A pastor who had known that EnerPrime was safe for children requested assistance. IMPaX WORLD immediately sent a shipment of EnerPrime. The children experienced such dramatic improvement that the orphanage made an urgent request for more. Greg began to send shipments regularly. Requests for shipments and support started coming from the Philippines, USA, India, and other locations. Greg soon became a member on the board of the Koinonia Family Services Foster and Adoption Family Services and founder of the IMPaX WORLD Foundation.
God birthed a global vision in Greg’s heart—to create a company that would benefit people physically, mentally, financially, and spiritually throughout the world. Such a company would equip people to be mighty in spirit and excellent in the marketplace, and the people involved would thrive—prosper in all things! Central to the IMPaX WORLD vision is that it contributes to the needs of children and families in all nations. Having blessed the health of so many for so long, IMPaX WORLD has earned its leading role in this mission. We invite you to become a member of our thriving IMPaX WORLD family.

“I pray that you prosper and be in good health
## Someone pasted calculated crystals at this point
┌──
A relaxed CeCdPd6 crystal, computed with PBE.

Calculated values
M_tot in μB/f.u.: 0.0
Fermi-level density of states in states/eV/cell: 1.9
DFT formation energy in eV per atom: -0.56
E above lowest polymorph in meV per atom: 13

Structure (POSCAR):
```
CeCdPd6
1.0
-3.615 2.091 2.098
-3.622 -3.913 -2.342
2.425 -1.020 5.195
Pd Cd Ce
6 1 1
Direct
0.500 0.913 0.576
0.500 0.424 0.087
0.500 0.914 0.086
0.000 0.585 0.415
0.000 0.079 0.415
0.000 0.585 0.921
0.500 0.416 0.584
0.000 0.084 0.916
```

A relaxed Ce2CdPd2 crystal, computed with PBE.

Calculated values
M_tot in μB/f.u.: 1.3
Fermi-level density of states in states/eV/cell: 23.4
DFT formation energy in eV per atom: -0.65

Structure (POSCAR):
```
Ce2CdPd2
1.0
-2.910 -3.206 -6.528
6.987 -3.185 -1.551
-0.978 -3.098 1.957
Ce Pd Cd
4 4 2
Direct
0.328 0.828 0.500
0.828 0.672 0.500
0.672 0.172 0.500
0.172 0.328 0.500
0.130 0.630 0.000
0.370 0.130 0.000
0.630 0.870 0.000
0.870 0.370 0.000
0.500 0.500 0.000
0.000 0.000 0.000
```

A relaxed Ce2CdPd crystal, computed with PBE.

Calculated values
M_tot in μB/f.u.: 0.3
Fermi-level density of states in states/eV/cell: 16.3
DFT formation energy in eV per atom: -0.33
E above lowest polymorph in meV per atom: 57

Structure (POSCAR):
```
Ce2CdPd
1.0
-4.768 -3.913 1.325
-1.343 -4.814 -4.028
1.269 -6.071 1.657
Cd Ce Pd
2 4 2
Direct
0.250 0.207 0.293
0.750 0.793 0.707
0.271 0.729 0.229
0.229 0.271 0.771
0.729 0.271 0.771
0.771 0.729 0.229
0.750 0.250 0.250
0.250 0.750 0.750
```

A relaxed CeCd2Pd5 crystal, computed with PBE.

Calculated values
M_tot in μB/f.u.: 0.2
Fermi-level density of states in states/eV/cell: 5.2
DFT formation energy in eV per atom: -0.58

Structure (POSCAR):
```
CeCd2Pd5
1.0
3.947 0.000 -1.480
└──
## Back to the article
even as your soul prospers.”
-3 John 2
Our World Vision
Advancing IMPaX World is called to help individuals in every country achieve vibrant health, create lasting wealth and fulfill their God-given potential.
=====
Record 1
DFT (PBE-GGA) results for crystalline Tb2AlCr at its relaxed geometry.

CIF file:
```
data_Tb2AlCr
_space_group_name_H-M_alt 'F m -3 m'
_space_group_IT_number 225
_space_group_name_Hall '-F 4 2 3'
_cell_length_a 7.245
_cell_length_b 7.245
_cell_length_c 7.245
_cell_angle_alpha 90.00
_cell_angle_beta 90.00
_cell_angle_gamma 90.00
loop_
_atom_site_label
_atom_site_fract_x
_atom_site_fract_y
_atom_site_fract_z
Tb1 0.250 0.250 0.250
Al1 0.000 0.000 0.000
Cr1 0.000 0.000 0.500
```

DOS at the Fermi energy (states/eV/atom): 0.741
M_tot (μB per cell): 15.54
Energy (eV/cell): -90.73

Record 2
DFT (PBE-GGA) results for crystalline Tb6Al43Cr4 at its relaxed geometry.

CIF file:
```
data_Tb6Al43Cr4
_space_group_name_H-M_alt 'P 63/m c m'
_space_group_IT_number 193
_space_group_name_Hall '-P 6c 2'
_cell_length_a 10.9195
_cell_length_b 10.9195
_cell_length_c 17.6084
_cell_angle_alpha 90.00
_cell_angle_beta 90.00
_cell_angle_gamma 120.00
loop_
_atom_site_label
_atom_site_fract_x
_atom_site_fract_y
_atom_site_fract_z
Tb1 0.0000 0.4704 0.0952
Al1 0.0000 0.1453 0.7500
Al2 0.0000 0.1554 0.1158
Al3 0.0000 0.2496 0.5303
Al4 0.1441 0.5465 0.2500
Al5 0.1584 0.3908 0.6658
Al6 0.2463 0.4927 0.0000
Al7 0.3333 0.6667 0.1270
Cr1 0.0000 0.0000 0.0000
Cr2 0.0000 0.2669 0.2500
```

DOS at the Fermi energy (states/eV/atom): 0.427
M_tot (μB per cell): 2.15
Energy (eV/cell): -483.67

Record 3
DFT (PBE-GGA) results for crystalline TbAl11Cr at its relaxed geometry.

CIF file:
```
data_TbAl11Cr
_space_group_name_H-M_alt 'C 1 2/m 1'
_space_group_IT_number 12
_cell_length_a 5.213
_cell_length_b 12.718
_cell_length_c 7.087
_cell_angle_alpha 90.00
_cell_angle_beta 110.80
_cell_angle_gamma 90.00
loop_
_space_group_symop_operation_xyz
'x,y,z'
'-x,-y,-z'
'-x,y,-z'
'x,-y,z'
'x+1/2,y+1/2,z'
'-x+1/2,-y+1/2,-z'
'-x+1/2,y+1/2,-z'
'x+1/2,-y+1/2,z'
loop_
_atom_site_label
_atom_site_fract_x
_atom_site_fract_y
_atom_site_fract_z
Tb1 0.000 0.000 0.000
Al1 0.000 0.000 0.500
Al2 0.106 0.393 0.224
Al3 0.199 0.172 0.362
Al4 0.250 0.250 0.000
Cr1 0.000 0.500 0.500
```

DOS at the Fermi energy (states/eV/atom): 0.433
M_tot (μB per cell): 0.09
Energy (eV/cell): -114.92

Record 4
DFT (PBE-GGA) results for crystalline AlCrTc2 at its relaxed geometry.

CIF file:
```
data_AlCrTc2
_space_group_name_H-M_alt 'F -4 3 m'
_space_group_IT_number 216
_space_group_name_Hall 'F -4 2 3'
_cell_length_a 6.066
_cell_length_b 6.066
_cell_length_c 6.066
_cell_angle_alpha 90.00
_cell_angle_beta 90.00
_cell_angle_gamma 90.00
loop_
_atom_site_label
_atom_site_fract_x
_atom_site_fract_y
_atom_site_fract_z
Al1 0.000 0.000 0.000
Cr1 0.250 0.250 0.250
Tc1 0.000 0.000 0.500
Tc2 0.250 0.250 0.750
```

DOS at the Fermi energy (states/eV/atom): 0.900
M_tot (μB per cell): 6.43
Energy (eV/cell): -137.31

=====

[1]
9
Lattice="9.348 -1.800 0.000 9.348 1.800 0.000 -4.153 0.000 8.625" Properties=species:S:1:pos:R:3 comment="Tb4PmDy2Y2, relaxed, DFT GGA-PBE" spacegroup="C2/m, No. 12" pbc="T T T"
Tb -1.040 0.000 2.882
=====
== Here the entry continues ==
Developing The IMPaX School of Life was conceived to equip individuals to become Mighty in Spirit and Excellent in the Marketplace.
Contributing It is central to our vision to contribute to the needs of families and communities